This column by Douglas W. Judson was printed in the Kenora Miner and News on September 29, 2022. You can find it online here.

“Your job is to fight the staff.”
Records of crystals from another source follow =
+++
Diffraction record for Tb2S2O. The PXRD pattern is calculated, not measured: it uses the PBE geometry in Alexandria and λ = 1.5418 Å (Cu Kα).

The 10 most intense peaks (5 to 70 degrees two-theta), sorted by position:
2θ 20.1, rel. 41; 2θ 25.2, rel. 31; 2θ 26.2, rel. 48; 2θ 26.7, rel. 63; 2θ 28.8, rel. 76; 2θ 30.0, rel. 100; 2θ 38.7, rel. 33; 2θ 39.1, rel. 30; 2θ 41.6, rel. 30; 2θ 54.9, rel. 32

Structural model:
```
Tb2S2O
1.0
8.3267 0.0000 0.0000
0.0000 6.9590 0.0000
-1.1034 0.0000 6.8142
Tb S O
8 8 4
direct
0.0767 0.1421 0.3200 Tb
0.0767 0.3579 0.8200 Tb
0.3619 0.5540 0.2497 Tb
0.3619 0.9460 0.7497 Tb
0.6381 0.0540 0.2503 Tb
0.6381 0.4460 0.7503 Tb
0.9233 0.6421 0.1800 Tb
0.9233 0.8579 0.6800 Tb
0.1798 0.6360 0.5746 S
0.1798 0.8640 0.0746 S
0.4238 0.2235 0.4701 S
0.4238 0.2765 0.9701 S
0.5762 0.7235 0.0299 S
0.5762 0.7765 0.5299 S
0.8202 0.1360 0.9254 S
0.8202 0.3640 0.4254 S
0.1171 0.0874 0.6494 O
0.1171 0.4126 0.1494 O
0.8829 0.5874 0.8506 O
0.8829 0.9126 0.3506 O
```

=====

Diffraction record for Hf3ZrPa2N6. The PXRD pattern is calculated, not measured: it uses the PBE geometry in Alexandria and λ = 1.5418 Å (Cu Kα).

The 10 most intense peaks (5 to 70 degrees two-theta), sorted by position:
2θ 32.4, rel. 39; 2θ 33.2, rel. 36; 2θ 33.3, rel. 72; 2θ 38.4, rel. 100; 2θ 54.6, rel. 12; 2θ 54.8, rel. 23; 2θ 55.9, rel. 22; 2θ 56.1, rel. 11; 2θ 65.0, rel. 17; 2θ 66.3, rel. 11

Structural model:
```
Hf3ZrPa2N6
1.0
7.2859 -1.6390 0.0000
7.2859 1.6390 0.0000
-1.7228 0.0000 6.4971
Hf Zr Pa N
3 1 2 6
direct
0.0000 0.0000 0.0000 Hf
0.3369 0.3369 0.6666 Hf
0.6631 0.6631 0.3334 Hf
0.0000 0.0000 0.5000 Zr
0.3343 0.3343 0.1682 Pa
0.6657 0.6657 0.8318 Pa
0.1594 0.1594 0.1020 N
0.1704 0.1704 0.5694 N
0.4958 0.4958 0.7594 N
0.5042 0.5042 0.2406 N
0.8296 0.8296 0.4306 N
0.8406 0.8406 0.8980 N
```

=====

Diffraction record for Ca4Cd. The PXRD pattern is calculated, not measured: it uses the PBE geometry in Alexandria and λ = 1.5418 Å (Cu Kα).

The 10 most intense peaks (5 to 70 degrees two-theta), sorted by position:
2θ 17.2, rel. 70; 2θ 17.8, rel. 44; 2θ 28.4, rel. 24; 2θ 29.6, rel. 67; 2θ 30.8, rel. 100; 2θ 34.8, rel. 38; 2θ 37.7, rel. 31; 2θ 40.3, rel. 20; 2θ 54.9, rel. 19; 2θ 59.8, rel. 19

Structural model:
```
Ca4Cd
1.0
7.0335 0.0000 0.0000
0.0000 7.0335 0.0000
0.0000 0.0000 7.6019
Ca Cd
8 2
direct
0.1424 0.2647 0.3398 Ca
0.2353 0.3576 0.8398 Ca
0.2647 0.8576 0.6602 Ca
0.3576 0.7647 0.1602 Ca
0.6424 0.2353 0.1602 Ca
0.7353 0.1424 0.6602 Ca
0.7647 0.6424 0.8398 Ca
0.8576 0.7353 0.3398 Ca
0.0000 0.0000 0.0000 Cd
0.5000 0.5000 0.5000 Cd
```

=====

Diffraction record for ZrNbAu. The PXRD pattern is calculated, not measured: it uses the PBE geometry in Alexandria and λ = 1.5418 Å (Cu Kα).

The 10 most intense peaks (5 to 70 degrees two-theta), sorted by position:
2θ 9.2, rel. 33; 2θ 31.7, rel. 8; 2θ 36.5, rel. 57; 2θ 37.7, rel. 6; 2θ 38.1, rel. 100; 2θ 45.8, rel. 4; 2θ 52.5, rel. 20; 2θ 57.4, rel. 7; 2θ 66.7, rel. 38; 2θ 69.9, rel. 16

Structural model:
```
+++
When I started my term as a councillor in Fort Frances, those were the words of wisdom from a friend who had served several terms in another municipality. Since my election in 2018, I have come to better understand their meaning.
With a month left to go in Ontario’s municipal election campaign, candidates will be busy selling voters on their ability to play nice with others. Municipalities act on mandates given by a majority vote of their council, and so, naturally, some level of cooperation is needed to get anything done.
But if the ideal council is a team, who are they playing against?
In a Parliamentary system, this is obvious: it’s the other parties. The opposition’s job is to hold the government accountable. We see this play out in Question Period every day. The members of cabinet represent the executive branch of government within the House of Commons and provincial legislatures. They must withstand the scrutiny of the opposition members. The government can only govern with the confidence of the legislature, failing which an election is usually called.
Likewise, many who are elected to municipal councils naively assume that their opponents are other councillors. But I am here to disabuse that notion. While councillors may disagree with one another on issues, the reality is that it is the municipal staff who are on the other team. Your job is to be a good “opposition” – to hold the administration accountable to the public and to bring perspective from the community to bear on the municipal government.
This is necessary because the staff of the municipality have no political accountability to your constituents. They also have their own interests from time to time – maybe in less work, higher budgets, or simply to resist change that will require new ways of doing things.
Your job, as a council member, isn’t to cheer-lead the staff, to make excuses for the staff, or to defend the staff from public scrutiny. Your job is to challenge (and sometimes, to inflict) the staff with a measure of public accountability. Like a Parliamentary government, a city manager or chief administrative officer who fails to maintain the confidence of council can be dismissed.
The problem savvy councillors soon discover is that these municipal “teams” are not playing with the same equipment. Staff have significant resource and informational advantages over councillors. They control the timing of information that comes to council, what options are presented, and how they are framed. Staff may provide advice to council that is self-serving, removes public oversight, or conveniently overlooks shortcomings in their own performance. Because administration only acts at the whims of a majority of council, staff can also refuse to provide even basic information to individual members of council to allow them to do their jobs.
Sometimes the staff can play favourites among their council too, and there is little a councillor can do about it without the backing of a majority of council. There is no point in taking your grievance to council if that majority is complicit or benefiting from the misconduct, illegality, or mismanagement in question – or, in many cases, would rather protect their friends. The Municipal Act is of no assistance here, as it only defines the role of council, and not the rights of individual council members. Your ability to demand accountability from staff can be easily hampered by political favouritism.
All this isn’t to say that municipal staff are bad actors or wish ill upon the community. But they have undeniable political interests in how the municipality functions, and they benefit from the limited rights of individual councillors. That’s why having appropriate accountability tools and policies in place when things are going well will protect the public when issues arise.
To address this imbalance, incoming councils would be wise to insist on adopting a number of policy measures to protect and define their role and rights early in the new term. The Municipal Act provides some frameworks for this, but it’s up to council to operationalize them. Here are 3 examples:
First, a wise council should consider reviewing the municipality’s statutorily-required council-staff relations policy and using it to codify the rights and entitlements of individual members of council. In particular, this should include rights for access to information and the process to request it. The policy should also have a mechanism for complaints and sanctions when staff are obstructing members or treating members unfairly.
Second, council should adopt by-laws to ensure that all members are automatically provided copies of general records of the municipality that are produced under any municipal freedom of information requests – without redaction. This is useful because, by default, councillors are not individually entitled to any more information than members of the public. Ensuing members are fully-informed of accountability issues in the municipality before they’re on the front page of the newspaper will loosen the control that staff have over the timing of council access to information. For obvious reasons, this requires that the municipality also codify confidentiality obligations for members of council.
Third, more councils should appoint a municipal ombudsman to investigate councillor complaints about senior staff. The Municipal Act allows the municipality to assign powers and duties to an ombudsman to independently investigate the administration of the municipality. This tool can be used to help members individually ensure that staff respect the role of council and the rights of individual members. Otherwise, it is often difficult for council (or its members) to push-back against staff objections to their wishes.
In general, most unelected municipal staff would likely prefer a docile council that rubber-stamps their agenda. For the same reasons already outlined, staff are often loath to advise council to do anything that could subject them to further scrutiny. But candidates run on robust platforms of service and change for their community. Without appropriate policies in place to empower individual members to advance those initiatives, they can be easily circumvented by the politics of the municipal bureaucracy.
A democratic government that provides no powers or rights to its individual elected officials is an impoverished one that is not meeting its potential for the public it serves.
Douglas W. Judson is a lawyer and community advocate based in Northwestern Ontario/Treaty #3 territory. Connect with him at or @dwjudson.